(Brief)
Next, quote all of the listing underneath with every line break kept.

(Source)
____________
1.
# K4Hf
Computed powder X-ray diffraction pattern, Cu Kα (weighted mean of Kα1 and Kα2). Input: a crystal structure in Alexandria, relaxed with GGA-PBE.
Peak positions follow from Bragg's law for the DFT cell and can differ from measured ones.

The 10 most intense peaks (10° ≤ 2θ ≤ 80°), low angle first:
(1 0 0), 12.67 deg, rel. 100
(1 1 0), 17.95 deg, rel. 92
(2 0 0), 25.50 deg, rel. 78
(2 1 0), 28.57 deg, rel. 61
(2 1 1), 31.36 deg, rel. 48
(2 2 0), 36.37 deg, rel. 59
(3 0 0), 38.66 deg, rel. 34
(3 1 0), 40.84 deg, rel. 23
(3 2 1), 48.76 deg, rel. 28
(4 2 0), 59.13 deg, rel. 27

Atomic structure:
```
data_K4Hf
_cell_length_a 6.9874
_cell_length_b 6.9874
_cell_length_c 6.9874
_cell_angle_alpha 90.00
_cell_angle_beta 90.00
_cell_angle_gamma 90.00
_symmetry_space_group_name_H-M 'P m -3 m'
_symmetry_Int_Tables_number 221
_symmetry_space_group_name_Hall '-P 4 2 3'
loop_
_atom_site_label
_atom_site_type_symbol
_atom_site_fract_x
_atom_site_fract_y
_atom_site_fract_z
K1 K 0.0000 0.0000 0.0000
K2 K 0.0000 0.5000 0.5000
Hf1 Hf 0.5000 0.5000 0.5000
```

2.
# Pu2Ag3
Computed powder X-ray diffraction pattern, Cu Kα (weighted mean of Kα1 and Kα2). Input: a crystal structure in Alexandria, relaxed with GGA-PBE.
Peak positions follow from Bragg's law for the DFT cell and can differ from measured ones.

The 10 most intense peaks (10° ≤ 2θ ≤ 80°), low angle first:
(1 1 0), 24.23 deg, rel. 52
(1 1 2), 31.71 deg, rel. 100
(0 1 3), 34.35 deg, rel. 52
(1 0 3), 35.82 deg, rel. 48
(2 0 0), 37.41 deg, rel. 48
(0 2 2), 37.63 deg, rel. 30
(1 2 1), 38.14 deg, rel. 73
(2 1 3), 51.69 deg, rel. 33
(2 2 2), 54.10 deg, rel. 21
(1 2 5), 65.22 deg, rel. 35

Atomic structure:
```
data_Pu2Ag3
_cell_length_a 4.8082
_cell_length_b 5.6918
_cell_length_c 8.8127
_cell_angle_alpha 90.00
_cell_angle_beta 90.00
_cell_angle_gamma 90.00
_symmetry_space_group_name_H-M 'I m m m'
_symmetry_Int_Tables_number 71
_symmetry_space_group_name_Hall '-I 2 2'
loop_
_atom_site_label
_atom_site_type_symbol
_atom_site_fract_x
_atom_site_fract_y
_atom_site_fract_z
Pu1 Pu 0.0000 0.0000 0.1897
Ag1 Ag 0.0000 0.2590 0.5000
Ag2 Ag 0.0000 0.5000 0.0000
```

3.
# CaMg5Sn6
Computed powder X-ray diffraction pattern, Cu Kα (weighted mean of Kα1 and Kα2). Input: a crystal structure in Alexandria, relaxed with GGA-PBE.
Peak positions follow from Bragg's law for the DFT cell and can differ from measured ones.

The 10 most intense peaks (10° ≤ 2θ ≤ 80°), low angle first:
(2 0 0), 19.10 deg, rel. 66
(0 0 2), 28.73 deg, rel. 24
(1 3 -1), 30.27 deg, rel. 44
(2 0 -2), 31.33 deg, rel. 53
(1 3 1), 32.06 deg, rel. 100
(2 0 2), 37.85 deg, rel. 32
(4 0 0), 38.76 deg, rel. 32
(3 3 -1), 39.68 deg, rel. 56
(3 3 1), 43.84 deg, rel. 24
(1 3 -3), 50.68 deg, rel. 26

Atomic structure:
```
data_CaMg5Sn6
_cell_length_a 9.4772
_cell_length_b 10.3483
_cell_length_c 6.3386
_cell_angle_alpha 90.00
_cell_angle_beta 101.31
_cell_angle_gamma 90.00
_symmetry_space_group_name_H-M 'C 1 2/m 1'
_symmetry_Int_Tables_number 12
loop_
_symmetry_equiv_pos_as_xyz
'x,y,z'
'-x,-y,-z'
'-x,y,-z'
'x,-y,z'
'x+1/2,y+1/2,z'
'-x+1/2,-y+1/2,-z'
'-x+1/2,y+1/2,-z'
'x+1/2,-y+1/2,z'
loop_
_atom_site_label
_atom_site_type_symbol
_atom_site_fract_x
_atom_site_fract_y
_atom_site_fract_z
Ca1 Ca 0.0000 0.0000 0.0000
Mg1 Mg 0.0000 0.1665 0.5000
Mg2 Mg 0.0000 0.3404 0.0000
Mg3 Mg 0.0000 0.5000 0.5000
Sn1 Sn 0.2443 0.3266 0.7362
Sn2 Sn 0.2450 0.5000 0.2678
```

4.
# Ir4RhW
Computed powder X-ray diffraction pattern, Cu Kα (weighted mean of Kα1 and Kα2). Input: a crystal structure in Alexandria, relaxed with GGA-PBE.
Peak positions follow from Bragg's law for the DFT cell and can differ from measured ones.

The 10 most intense peaks (10° ≤ 2θ ≤ 80°), low angle first:
(0 2 0), 15.27 deg, rel. 1
(0 2 1), 27.53 deg, rel. 1
(1 1 1), 33.43 deg, rel. 2
(1 3 1), 40.19 deg, rel. 100
(0 0 2), 46.52 deg, rel. 17
(2 0 0), 46.74 deg, rel. 16
(0 6 0), 46.97 deg, rel. 16
(2 0 2), 68.07 deg, rel. 11
(0 6 2), 68.26 deg, rel. 10
(2 6 0), 68.43 deg, rel. 10
____________

(Worked solution)
1.
# K4Hf
Computed powder X-ray diffraction pattern, Cu Kα (weighted mean of Kα1 and Kα2). Input: a crystal structure in Alexandria, relaxed with GGA-PBE.
Peak positions follow from Bragg's law for the DFT cell and can differ from measured ones.

The 10 most intense peaks (10° ≤ 2θ ≤ 80°), low angle first:
(1 0 0), 12.67 deg, rel. 100
(1 1 0), 17.95 deg, rel. 92
(2 0 0), 25.50 deg, rel. 78
(2 1 0), 28.57 deg, rel. 61
(2 1 1), 31.36 deg, rel. 48
(2 2 0), 36.37 deg, rel. 59
(3 0 0), 38.66 deg, rel. 34
(3 1 0), 40.84 deg, rel. 23
(3 2 1), 48.76 deg, rel. 28
(4 2 0), 59.13 deg, rel. 27

Atomic structure:
```
data_K4Hf
_cell_length_a 6.9874
_cell_length_b 6.9874
_cell_length_c 6.9874
_cell_angle_alpha 90.00
_cell_angle_beta 90.00
_cell_angle_gamma 90.00
_symmetry_space_group_name_H-M 'P m -3 m'
_symmetry_Int_Tables_number 221
_symmetry_space_group_name_Hall '-P 4 2 3'
loop_
_atom_site_label
_atom_site_type_symbol
_atom_site_fract_x
_atom_site_fract_y
_atom_site_fract_z
K1 K 0.0000 0.0000 0.0000
K2 K 0.0000 0.5000 0.5000
Hf1 Hf 0.5000 0.5000 0.5000
```

2.
# Pu2Ag3
Computed powder X-ray diffraction pattern, Cu Kα (weighted mean of Kα1 and Kα2). Input: a crystal structure in Alexandria, relaxed with GGA-PBE.
Peak positions follow from Bragg's law for the DFT cell and can differ from measured ones.

The 10 most intense peaks (10° ≤ 2θ ≤ 80°), low angle first:
(1 1 0), 24.23 deg, rel. 52
(1 1 2), 31.71 deg, rel. 100
(0 1 3), 34.35 deg, rel. 52
(1 0 3), 35.82 deg, rel. 48
(2 0 0), 37.41 deg, rel. 48
(0 2 2), 37.63 deg, rel. 30
(1 2 1), 38.14 deg, rel. 73
(2 1 3), 51.69 deg, rel. 33
(2 2 2), 54.10 deg, rel. 21
(1 2 5), 65.22 deg, rel. 35

Atomic structure:
```
data_Pu2Ag3
_cell_length_a 4.8082
_cell_length_b 5.6918
_cell_length_c 8.8127
_cell_angle_alpha 90.00
_cell_angle_beta 90.00
_cell_angle_gamma 90.00
_symmetry_space_group_name_H-M 'I m m m'
_symmetry_Int_Tables_number 71
_symmetry_space_group_name_Hall '-I 2 2'
loop_
_atom_site_label
_atom_site_type_symbol
_atom_site_fract_x
_atom_site_fract_y
_atom_site_fract_z
Pu1 Pu 0.0000 0.0000 0.1897
Ag1 Ag 0.0000 0.2590 0.5000
Ag2 Ag 0.0000 0.5000 0.0000
```

3.
# CaMg5Sn6
Computed powder X-ray diffraction pattern, Cu Kα (weighted mean of Kα1 and Kα2). Input: a crystal structure in Alexandria, relaxed with GGA-PBE.
Peak positions follow from Bragg's law for the DFT cell and can differ from measured ones.

The 10 most intense peaks (10° ≤ 2θ ≤ 80°), low angle first:
(2 0 0), 19.10 deg, rel. 66
(0 0 2), 28.73 deg, rel. 24
(1 3 -1), 30.27 deg, rel. 44
(2 0 -2), 31.33 deg, rel. 53
(1 3 1), 32.06 deg, rel. 100
(2 0 2), 37.85 deg, rel. 32
(4 0 0), 38.76 deg, rel. 32
(3 3 -1), 39.68 deg, rel. 56
(3 3 1), 43.84 deg, rel. 24
(1 3 -3), 50.68 deg, rel. 26

Atomic structure:
```
data_CaMg5Sn6
_cell_length_a 9.4772
_cell_length_b 10.3483
_cell_length_c 6.3386
_cell_angle_alpha 90.00
_cell_angle_beta 101.31
_cell_angle_gamma 90.00
_symmetry_space_group_name_H-M 'C 1 2/m 1'
_symmetry_Int_Tables_number 12
loop_
_symmetry_equiv_pos_as_xyz
'x,y,z'
'-x,-y,-z'
'-x,y,-z'
'x,-y,z'
'x+1/2,y+1/2,z'
'-x+1/2,-y+1/2,-z'
'-x+1/2,y+1/2,-z'
'x+1/2,-y+1/2,z'
loop_
_atom_site_label
_atom_site_type_symbol
_atom_site_fract_x
_atom_site_fract_y
_atom_site_fract_z
Ca1 Ca 0.0000 0.0000 0.0000
Mg1 Mg 0.0000 0.1665 0.5000
Mg2 Mg 0.0000 0.3404 0.0000
Mg3 Mg 0.0000 0.5000 0.5000
Sn1 Sn 0.2443 0.3266 0.7362
Sn2 Sn 0.2450 0.5000 0.2678
```

4.
# Ir4RhW
Computed powder X-ray diffraction pattern, Cu Kα (weighted mean of Kα1 and Kα2). Input: a crystal structure in Alexandria, relaxed with GGA-PBE.
Peak positions follow from Bragg's law for the DFT cell and can differ from measured ones.

The 10 most intense peaks (10° ≤ 2θ ≤ 80°), low angle first:
(0 2 0), 15.27 deg, rel. 1
(0 2 1), 27.53 deg, rel. 1
(1 1 1), 33.43 deg, rel. 2
(1 3 1), 40.19 deg, rel. 100
(0 0 2), 46.52 deg, rel. 17
(2 0 0), 46.74 deg, rel. 16
(0 6 0), 46.97 deg, rel. 16
(2 0 2), 68.07 deg, rel. 11
(0 6 2), 68.26 deg, rel. 10
(2 6 0), 68.43 deg, rel. 10